Anti-racism and Inclusion Initiatives Progress

These initiatives were developed from suggestions gathered from an initial Google document distributed to community members, Open Community Calls on Anti-racism and Inclusion held in the summer of 2020 and a follow-up feedback form circulated to the archives community. Progress on each is noted here.

While some of the ideas are fairly simple to implement, others may require considerable cooperation and discussion across the community, including the involvement of the ArchivesSpace Governance Board. We also acknowledge that some of the ideas are better addressed (and often are already being addressed) beyond ArchivesSpace. In this space we indicate what ArchivesSpace is doing or point to groups and resources in the wider community, depending on what is most appropriate and impactful.

This is a living and breathing effort, not a checklist that will be “done” when we reach the end of the initial group of ideas. Please reach out to us if you have questions or feedback about any current ArchivesSpace Anti-racism and Inclusion initiatives or would like to suggest new work to be done. Our email is

Ideas related to Governance




Current Status

Have representation from Historically Black Colleges and Universities and Hispanic Serving Institutions on the Governance Board or create specific seat on the Governance Board for a representative from HBCUs/HSIs.

There was concern about placing a burden on the very institutions we are seeking to draw in given the current limited participation of HBCUs/HSIs in the ArchivesSpace membership community at the present time.

A proposal was made to the Governance Board at their October 2020 meeting to charge a small internal task force to investigate options and models for improving its own diversity before creating new Board seats or designating existing Board seats differently.

Board will focus on education and information sharing for the time being as it investigates ways to improve its own diversity.

Not started

Provide one-on-one mentoring to potential and new Governance Board representatives to provide more support and/or a longer runway to service.

Many thought this was a good idea for Governance in general.

Idea was discussed in the Fall 2020 Governance Board Meeting.

Governance Board informal buddy system and deep dives covering specific areas of knowledge helpful to Board service begun with 2020-2021 term.

In Progress


Explore the creation of a standing DEIA Council.

This came up in a comment in a feedback form response and did not receive wider discussion. This idea may be coupled with other initiatives.


On Hold

Ideas related to program and membership*




Current Status

Subsidize membership for some grassroots organizations, community archives, tribal archives, Historically Black Colleges and Universities (HBCUs) and Hispanic Serving Institutions (HSIs).

(Here the entry breaks off for data records)
<<<
Record 1
VASP calculation (GGA-PBE) on an optimized crystal structure of CsZnB2F8.

Results
Its density of states at the Fermi level is 0.056 states/eV/atom. The value obtained for the volume is 16.9 Å³ per atom. For the uncorrected formation energy, the calculation gives -2.632 eV per atom.

abc: 5.3480 5.3480 8.7405
angles: 72.19 72.19 60.00
Fractional positions:
F: 0.1970 0.1970 0.4090
F: 0.9802 0.4773 0.8207
F: 0.2782 0.0198 0.1793
F: 0.8030 0.8030 0.5910
F: 0.0198 0.5227 0.1793
F: 0.5227 0.2782 0.1793
F: 0.7218 0.9802 0.8207
F: 0.4773 0.7218 0.8207
B: 0.7449 0.7449 0.7652
B: 0.2551 0.2551 0.2348
Zn: 0.0000 0.0000 0.0000
Cs: 0.5000 0.5000 0.5000



Record 2
VASP calculation (GGA-PBE) on an optimized crystal structure of CsZnBF6.

Results
Its density of states at the Fermi level is 0.000 states/eV/atom. The value obtained for the volume is 18.1 Å³ per atom. For the uncorrected formation energy, the calculation gives -2.680 eV per atom.

abc: 5.4732 5.4732 6.1826
angles: 92.81 87.22 61.96
Fractional positions:
F: 0.4419 0.1443 0.3557
F: 0.3240 0.6164 0.3844
F: 0.5511 0.8619 0.7707
F: 0.1445 0.4425 0.6444
F: 0.8620 0.5515 0.2293
F: 0.6168 0.3235 0.6153
Zn: 0.6888 0.6891 0.5000
B: 0.3781 0.3780 0.5000
Cs: 0.9926 0.9929 0.0000



Record 3
VASP calculation (GGA-PBE) on an optimized crystal structure of CsFeB3.

Results
The energy above the lowest structure with this stoichiometry comes out at 2.905 eV per atom. The value obtained for the formation energy is 4.01 eV/atom. Its density of states at the Fermi level is 2.453 states/eV/atom. The value obtained for the volume is 20.2 Å³ per atom.

abc: 4.6603 4.6603 4.6603
angles: 90.00 90.00 90.00
Fractional positions:
Cs: 0.0000 0.0000 0.0000
Fe: 0.5000 0.5000 0.5000
B: 0.0000 0.0000 0.5000
B: 0.5000 0.0000 0.0000
B: 0.0000 0.5000 0.0000

* * * * *

This record from Alexandria describes a relaxed RbLaMnO3 crystal. The functional is GGA+U.

Results
volume = 257.1 Å³/cell
M_tot = 5.00 μB/f.u.
calculated total energy = -6.904 eV/atom

a b c (Å): 8.0218 3.8003 8.6089
angles (deg): 90.00 101.64 90.00
Space group P2_1/m (No. 11)
Unique sites:
Rb1 0.1762 0.2500 0.1942 x2
La1 0.3524 0.7500 0.8501 x2
Mn1 0.0933 0.2500 0.6072 x2
O1 0.1572 0.2500 0.8479 x2
O2 0.1566 0.7500 0.5410 x2
O3 0.4501 0.7500 0.1233 x2

* * * * *

Here is a geometry-optimized EuUGe2 structure from the Alexandria database. Energies are from PBE.

a b c (Å): 7.1001 7.1001 7.1001
angles (deg): 35.28 35.28 35.28
Closest atoms and distances in Å follow each position.
Atoms (fractional coordinates):
Eu 0.0000 0.0000 0.0000  6 Ge 3.17
U 0.5000 0.5000 0.5000  6 Ge 2.83
Ge 0.2350 0.2350 0.2350  3 U 2.83, 3 Eu 3.17
Ge 0.7650 0.7650 0.7650  3 U 2.83, 3 Eu 3.17

Properties
crystal system	trigonal
VASP energy	-7.9088	eV/atom
total magnetic moment	7.100	μB/f.u.
DOS(E_F)	3.006	states/eV/atom

---

Here is a geometry-optimized ZnCoOs structure from the Alexandria database. Energies are from PBE.

a b c (Å): 4.6645 4.6645 4.6645
>>>

A recurring theme of the comments in the discussions and feedback was that these really should be offered together, since ArchivesSpace implementation and full participation in the community is best accomplished with lots of support.

Continuation of the program approved, with a new cohort planned to begin July 1, 2024.


First cohort for ArchivesSpace Diversity Partnership announced in May 2021. Five institutions began as of July 1, 2021.


Subsidize or offer assistance with self-hosted or hosted ArchivesSpace installations for some grassroots organizations, community archives, tribal archives, HBCUs and HSIs.

Develop a training toolkit for grassroots organizations, community archives, and tribal archives that want to use ArchivesSpace, or develop an infrastructure for community members to create and disseminate resources to assist grassroots organizations, community archives, and tribal archives.


Develop a new membership tier specifically for minority-serving institutions that evaluates each institution on a case by case basis.



on hold


Explore the creation of a cloud-based centralized ArchivesSpace or consider consortial membership to allow grassroots organizations, community archives, tribal archives, HBCUs, HSIs and other less resourced organizations to share financial and infrastructure commitments.

It is not clear how much demand there is for this, and to what extent this is already possible in other ways through finding aid aggregators. More research is needed.


on hold

Provide greater diversity in the examples used in the user documentation.

Since our examples are often drawn from the data we use for demos, training, and testing, we have expanded the focus to include our standard data sets as well.

Did a contract project from January-April 2022 (see Inclusive Examples Project). We will continue to maintain and update this work.


Work with organizations and groups that help others understand ethical collecting and archival description to identify best practices for using (or not using) ArchivesSpace and related barriers in the application.


We have increased the focus on these topics in our programming. Two examples:

Webinar on Implementing the Protocols for Native American Archival Materials at Northern Arizona University held on April 14, 2021.

Session on Metadata Justice at the University of Oklahoma Libraries at 2021 Member Forum.


Regularly spotlight the work our members do in their communities, via mechanisms such as features in our monthly updates and posts on our blog/Twitter.




Provide greater support for learning ArchivesSpace and archival information management to BIPOC students in archives and related educational programs.

This is already on our to-do list for the year, though it had been postponed by the COVID-19 crisis.

Educational program membership has been expanded and now includes a sandbox option.

In progress

Commit to virtual networking and programs as a way to support the global community of ArchivesSpace, including under resourced institutions in the Global South.

While wider global expansion remains a goal, this has been somewhat backburnered by the COVID-19 crisis. We do plan to offer our engagement programming virtually until it is over. We are committed to continuing to provide virtual networking opportunities like the ArchivesSpace Online Forum.

Consider how virtual programming may be used specifically to support individuals and institutions in the Global South.

In progress

* A fundamental principle of ArchivesSpace is that those who can contribute, whether financially or with their time and talents, do so in order to make what ArchivesSpace makes possible possible for everyone. That core principle is essential to ArchivesSpace being sustainable as a program, application, and community, but there are different ways we as a community can bring people in to broaden the conversation, open up possibilities, and be a force for more good. ArchivesSpace is committed to remaining free to download and use and makes almost all of its resources freely available. ArchivesSpace’s member model supports the continuing development of the application and services and resources that support the community that uses it. Organizations that elect to become ArchivesSpace members receive member benefits including access to the Help Center, listservs and technical support. ArchivesSpace membership ensures that the ArchivesSpace application is sustainable and available to all archives and archivists.


Ideas related to application




Current Status

Convene a working group to develop a thesaurus or glossary and create examples of antiracist descriptive practice.

This was felt by many to be outside of ArchivesSpace’s purview. There are good examples to point to in the wider archives and cultural heritage community.

Resources available at

If you would like to contribute or make a suggestion to this resource list, email


Provide guidance on which fields to use for disclaimers on material containing racist, sexist, and offensive language or content.

Some of the feedback pointed out that this is primarily a descriptive standards issue, not really an ArchivesSpace issue.

Resources available at

If you would like to contribute or make a suggestion to this resource list, email

We will also work with relevant community groups to incorporate guidance from DACS on this issue into our user manual, tool tips, and training materials.



Eliminate coding terminology that echoes racist language such as "master" and "blacklist/whitelist".


We are investigating tools that GitHub has made available to make this process easier from a technical standpoint, and will work on reeducation within our community.

In Progress

Explicitly acknowledge in the application that there is inherent bias in the application and make it clear which who can access records and fields in ArchivesSpace and how.


We will add a statement to our GitHub repository.

not started

Convene a working group to examine unconscious bias and barriers to entry in the ArchivesSpace application, particularly related to language and privacy.

A lot of this work is being done through the discussions themselves. Creating specifications for issues that had surfaced and beginning work toward development would better retain momentum and achieve progress.

Creating specifications for issues that had surfaced and beginning work toward development would better retain momentum and achieve progress.

These ideas vary greatly in complexity and amount of effort and skills required to build them into the application.


Program team is working on specifications for many of these ideas, calling in community members as needed. Program team will then work to estimate the staffing and cost associated with them.

In Progress

Ability to choose simplified templates for data entry, import, export, and display in the public user interface.

A common theme of the discussions was that ArchivesSpace can very complicated for an inexperienced user, especially a non-archivist. The ability to use simplified templates and views for some functions would significantly lower the barrier to entry.

This type of functionality is often requested in other contexts as well.

Develop a scaffolding or infrastructure to make redescription work or antiracist description work easier within ArchivesSpace.

Specific items mentioned included:

·       bulk editing

·       full audit trail

·       additional fields for tracking work


Some of this work is perhaps too complex to undertake or the function can be achieved in the application in part already, but bulk editing is one of the most requested features in the application in general.

Allow for versioning of all record types in ArchivesSpace to document the changes made when doing redescription work and a way to provide the context for why the change was made.

This is probably the most difficult of the ideas technologically because it may require rearchitecting the application.

Create a mechanism to provide trigger or content warnings at both the resource and archival object level.

It is already possible to manually provide a trigger warning as text within a field or note, or a blanket statement within an ArchivesSpace deployment. Discussions suggested taking this farther by having a way a warning could appear more prominently on a record (particularly in the PUI) and being able to invoke it as needed throughout the application.

Provide a mechanism to allow users to submit a correction/edit to a finding aid or annotate finding aids.

Some commenters pointed to a recommendation on page 6 in the recommendations for Anti-Racist Description Resources from Archives for Black Lives in Philadelphia:

Provide support for description in multiple languages and more translations of the interface.

This has been raised in many contexts previously and would support ArchivesSpace’s growth as well as commitment to inclusion.

If you are interested in contributing a translation of the ArchivesSpace interface, please email

Provide a way to make agents repository-specific or viewable by only some users.

This is also probably quite complex to implement. This could be part of a larger set of changes related to multi-tenant support, which would require significant architecture changes.

Enable the use of Traditional Knowledge (TK) labels on indigenous cultural heritage materials. (

TK labels are useful for institutions implementing the Protocols for Native American Archival Materials (, guidelines for sensitive and ethical management of indigenous materials which were endorsed by SAA in 2018.


Program team will consult with some experts within and outside the current community about these needs and write specifications. For the purposes of funding, these ideas could be considered a subset of a larger development project, or a development project of its own.

Explore ways to better support integration with Mukurtu ( for those organizations using both Mukurtu and ArchivesSpace or needing to exchange data with other organizations that use one or the other.

Mukurtu is an open source collection management system specifically aimed at sharing digital content in “culturally relevant and ethically-minded” ways. It is often used by institutions that work with indigenous cultural heritage materials.

Add a mechanism for authentication in the public interface.

Some archives want to be able to share some information about their collections with some users but not everyone, when those users don’t share a common IP address or domain or something else that otherwise might be used to restrict access to a website. This is a common issue for tribal archives who have little IT support.

Provide better support for right-to-left (RTL) scripts, ideally bi-directional text.

ArchivesSpace does already provide some support for right-to-left scripts already but comments indicated that it is insufficient for some needs.

We will convene a small working group to investigate this issue and provide a specification.

Add fields for variant terms and a function that allows us to make the variant term the local display term when the LCSH term is deemed harmful.

Subjects have always been one of the simplest kinds of records in ArchivesSpace. Expanding the subjects module has come up in discussions for several years, for a range of reasons.

We will convene a working group on expanding the subjects module, with a particular focus on concerns related to inclusion.

Provide mechanisms to better support non-LCSH authority term imports.

While not entirely related to expansion of the subjects module, it will be important that the subject record in ArchivesSpace be able to accommodate data points prevalent in the chosen controlled vocabularies.